

Jack tiptoed till he got to the entrance of his home, hell it hadn't been easy leaving muffin's heavenly arms but unfortunately dawn came too early and he had to go else he would be courting problem. Tsk spending a night with ayra was one of the memories he would never forget and to think he could spend a night with a girl without indulging in a sexual activity with her but ayra was special and different and elicited a different kind of gentleness and affection from him which he didn't know existed in him previously . Because he wasn't expecting to see anyone in the living room nor was he aware of what has transpired the previous night, he opened the door loudly and was surprised to see his parents sprawled on the bare rugged floor snoring in sleep.

Jack stopped in his tracks and simply stared at them, this was the first time in years he was seeing them in close proximity with each other, seems they were a bit peaceful and kind towards each other while asleep. Still shocked at their position he peered closely and noticed his father's hands were five feet apart from touching his wife's face, he felt nostalgic " Why couldn't they be happy? Why did his father always have to hurt his mom? He questioned into the thin air ? Sighing deeply he brought out his phone and without thinking he took a snap of them, he honestly couldn't pinpoint the real reason he did that maybe he wanted to keep this memory of them alive forever and always reassure himself that once upon a time his parents had been in love with each other. Turning his back towards them he made for his room Catherine roused from sleep that moment and on seeing form moving in their living room she quickly blinked her eyes open and sprang from her lying position.

" Omg jack where have you been? " She asked crushing him in a tight embrace.

Jack was surprised at her actions and gaped at his mom with open mouth unable to reply her question.

" Are you okay? Where have you been you had your father and I worried sick about your welfare, how did you even get in? "

Following the noise Philip also roused from sleep and seeing that Jack was back home safe he heaved a sigh of relief and simply watched as Catherine banged him with numerous questions.

" Ain't you gonna speak? Your mother almost died from worry yesterday, you can't just up and leave without informing anyone " Philip said yelling at him.

" I'm sorry for making you guys worry that wasn't my intention, I honestly didn't think you guys would notice my absence " Jack said primly refusing to meet Catherine's hurt eyes.

" Young man what the heck do you me- " Philip started but Catherine cut him off .

" Jack we noticed your absence son you are our only son and we love you of course we would always notice your absence " Catherine said with emotion filled voice sad at the thought that Jack felt unloved.

Jack gently patted her checks " That's nice to know mom I will be in my room now and I apologize again for the stress " He said focusing on only Catherine and didn't spare a glance at his father it was as though he didn't acknowledge the fact that he was part of the search party and it infuriated Philip to no end.

" Where do you think you are going jack? " Philip questioned glaringly.

"Does he have a hearing deficiency? " Jack thought to himself but knew better than to say it " I am heading to my room father I thought I said that earlier " .

" Not so fast after the stress you put us through so you are just gonna work out without any form of explanation to your parents? How uncultured and disrespectful can you get, is this how you trained him?" He asked glancing at a fidgety Catherine.

" Why do you always blame her "? Jack started genuinely curious to know his reply, " For everything that goes wrong it's always her fault for once in your life take responsibility !!! ".

" Jack please don't speak to your father in that manner " Catherine pleaded.

" No no let him be I can see he has turned into a man to talk back at his father, young man do you know what is irresponsible? The little stunt you pulled last night and God help you don't ever repeat it next time " He warned hating the fact he could never have a proper conversation with his son without getting angry .

" I guess the Apple doesn't fall too far from the tree unfortunately I have your blood in my veins so I am bound to be like this and maybe if you hadn't been such an absentee father I wouldn't have grown wings enough to talk back at my elders therefore this is all your fault " He concluded and wasn't surprised when Philip raised his palms to hit him but unfortunately or fortunately Catherine stepped in and held tightly to his hands.

" Please don't hit him " She begged holding tightly to his curled fist.

" Jack Frost you would explain exactly where you were yesterday night and go up to your room and I restrict you from coming out till further notice" She shouted right at him.

== What comes next are records of crystals, not part of the article ==
/*
Record 1
! Ca8Ti3Mn5O21 PBE+U relaxed; values from VASP
&SYSTEM
  ibrav = 0, nat = 148, ntyp = 4
/
ATOMIC_SPECIES
Ca 40.08 Ca.upf
Ti 47.87 Ti.upf
Mn 54.94 Mn.upf
O 16.00 O.upf
CELL_PARAMETERS angstrom
-7.263 -6.995 -4.758
6.978 -11.859 7.059
-6.658 1.337 8.808
ATOMIC_POSITIONS crystal
Ca 0.975 0.123 0.532
Ca 0.979 0.119 0.024
Ca 0.997 0.620 0.526
Ca 0.995 0.618 0.001
Ca 0.540 0.120 0.482
Ca 0.541 0.124 0.986
Ca 0.534 0.627 0.513
Ca 0.545 0.622 0.972
Ca 0.509 0.389 0.988
Ca 0.487 0.376 0.523
Ca 0.536 0.858 0.975
Ca 0.489 0.864 0.500
Ca 0.964 0.387 0.008
Ca 0.956 0.386 0.510
Ca 0.957 0.878 0.997
Ca 0.965 0.868 0.515
Ca 0.244 0.391 0.225
Ca 0.233 0.403 0.760
Ca 0.241 0.881 0.275
Ca 0.230 0.863 0.720
Ca 0.746 0.375 0.252
Ca 0.725 0.389 0.762
Ca 0.742 0.862 0.242
Ca 0.718 0.865 0.737
Ca 0.223 0.121 0.217
Ca 0.229 0.115 0.733
Ca 0.245 0.618 0.274
Ca 0.263 0.625 0.719
Ca 0.766 0.121 0.252
Ca 0.765 0.127 0.754
Ca 0.769 0.613 0.256
Ca 0.771 0.625 0.752
Ti 0.989 0.995 0.266
Ti 0.983 0.994 0.757
Ti 0.002 0.499 0.259
Ti 0.241 0.973 0.019
Ti 0.233 0.003 0.507
Ti 0.253 0.522 0.007
Ti 0.264 0.245 0.939
Ti 0.256 0.239 0.440
Ti 0.265 0.743 0.979
Ti 0.988 0.252 0.272
Ti 0.994 0.258 0.777
Ti 0.999 0.747 0.272
Mn 0.994 0.499 0.758
Mn 0.501 0.989 0.223
Mn 0.499 0.000 0.722
Mn 0.505 0.490 0.248
Mn 0.493 0.502 0.750
Mn 0.232 0.489 0.507
Mn 0.742 0.001 0.989
Mn 0.743 0.996 0.487
Mn 0.751 0.502 0.005
Mn 0.739 0.498 0.507
Mn 0.245 0.744 0.491
Mn 0.745 0.251 0.008
Mn 0.743 0.250 0.504
Mn 0.760 0.748 0.998
Mn 0.750 0.748 0.501
Mn 0.001 0.752 0.753
Mn 0.504 0.257 0.260
Mn 0.508 0.247 0.757
Mn 0.514 0.751 0.262
Mn 0.498 0.747 0.743
O 0.098 0.769 0.605
O 0.561 0.259 0.094
O 0.567 0.248 0.591
O 0.607 0.765 0.119
O 0.606 0.763 0.596
O 0.384 0.185 0.366
O 0.388 0.184 0.867
O 0.408 0.695 0.368
O 0.412 0.733 0.924
O 0.924 0.240 0.416
O 0.923 0.239 0.917
O 0.911 0.729 0.402
O 0.916 0.739 0.902
O 0.168 0.253 0.297
O 0.176 0.255 0.794
O 0.166 0.749 0.313
O 0.176 0.742 0.846
O 0.658 0.228 0.349
O 0.661 0.233 0.854
O 0.663 0.723 0.349
O 0.643 0.732 0.849
O 0.355 0.758 0.640
O 0.858 0.264 0.159
O 0.875 0.266 0.657
O 0.891 0.777 0.147
O 0.849 0.774 0.644
O 0.358 0.512 0.163
O 0.348 0.489 0.640
O 0.354 0.029 0.117
O 0.365 0.043 0.603
O 0.866 0.482 0.152
O 0.846 0.477 0.643
O 0.863 0.978 0.161
O 0.859 0.978 0.655
O 0.176 0.018 0.350
O 0.236 0.995 0.860
O 0.160 0.493 0.346
O 0.162 0.527 0.866
O 0.629 0.030 0.337
O 0.625 0.040 0.835
O 0.630 0.522 0.361
O 0.641 0.516 0.856
O 0.395 0.516 0.913
O 0.900 0.017 0.402
O 0.898 0.014 0.900
O 0.908 0.517 0.391
O 0.895 0.511 0.899
O 0.119 0.476 0.098
O 0.093 0.473 0.618
O 0.101 0.990 0.098
O 0.110 0.988 0.613
O 0.607 0.495 0.112
O 0.594 0.485 0.613
O 0.595 0.984 0.075
O 0.601 0.980 0.577
O 0.005 0.373 0.276
O 0.018 0.376 0.803
O 0.021 0.879 0.302
O 0.029 0.882 0.797
O 0.449 0.379 0.312
O 0.488 0.377 0.777
O 0.455 0.870 0.286
O 0.493 0.873 0.771
O 0.479 0.624 0.721
O 0.003 0.127 0.232
O 0.013 0.122 0.743
O 0.012 0.625 0.220
O 0.987 0.624 0.727
*/

Jack could handle his father's rage gosh he loved annoying him anyways and getting on his nerves but one thing he couldn't handle was seeing pain in his mom's eyes and her being mad at him, it simply broke him to pieces. " A friend of mine was troubled and I stayed with her " He mumbled.

" Does this friend happen to be ayra? " She interrogated still holding on to Philip 's fist.

His eye's sparked immediately at the mention of ayra's name " Yeah mom I stayed with my muffin " .

" Seems like your new friend is doing you more harm than good boy " Philip chimed

" I hope she knows you have a litany of girls around you " He continued.

" Don't speak about my muffin in that manner " Jack countered heatedly.

" Jack go up to your room now!! " Catherine commanded with her last strength. Begrudgingly he obeyed and when he disappeared from view, Philip forcefully removed her hands from his and made for his room without uttering a word to her.

Tired and exhausted of trying to hold the pieces together and always failing she gave a long shrill cry in frustration.

Have some idea about my story? Comment it and let me know.

simply_mackycreators' thoughts